

[Someone pasted records of crystals at this point]
+++
# 1
## DyTh4Os4 (PBE-GGA)

Data for DyTh4Os4 after structural relaxation.

Cell and atoms, written as extended XYZ:
```
18
Lattice="9.031 0.000 0.000 0.000 9.031 0.000 0.000 0.000 5.678" Properties=species:S:1:pos:R:3 pbc="T T T"
Dy 2.258 2.258 1.420
Dy 6.773 6.773 4.259
Th 0.557 6.000 0.934
Th 1.485 8.474 3.773
Th 3.031 5.073 3.773
Th 3.959 7.547 0.934
Th 5.073 1.485 4.744
Th 6.000 3.959 1.905
Th 7.547 0.557 1.905
Th 8.474 3.031 4.744
Os 0.287 5.633 3.716
Os 1.118 8.744 0.876
Os 3.398 4.803 0.876
Os 4.228 7.914 3.716
Os 4.803 1.118 1.963
Os 5.633 4.228 4.802
Os 7.914 0.287 4.802
Os 8.744 3.398 1.963
```

Calculated values
energy	-162.142	eV per cell
total magnetization	0.00	μB/atom
energy relative to the elements	-0.208	eV per atom
symmetry	P4_2/n

---

# 2
## Hf2CoAu2 (PBE-GGA)

Data for Hf2CoAu2 after structural relaxation.

Cell and atoms, written as extended XYZ:
```
10
Lattice="7.213 0.000 0.000 0.000 7.213 0.000 0.000 0.000 3.627" Properties=species:S:1:pos:R:3 pbc="T T T"
Hf 1.250 2.356 0.000
Hf 2.356 5.963 0.000
Hf 4.857 1.250 0.000
Hf 5.963 4.857 0.000
Co 0.000 0.000 1.814
Co 3.607 3.607 1.814
Au 0.968 4.575 1.814
Au 2.638 0.968 1.814
Au 4.575 6.245 1.814
Au 6.245 2.638 1.814
```

Calculated values
energy	-68.727	eV per cell
total magnetization	0.11	μB/atom
energy relative to the elements	-0.159	eV per atom
symmetry	P4/mbm

---

# 3
## MgTl5I8 (PBE-GGA)

Data for MgTl5I8 after structural relaxation.

Cell and atoms, written as extended XYZ:
```
14
Lattice="-5.114 5.114 5.487 5.114 -5.114 5.487 5.114 5.114 -5.487" Properties=species:S:1:pos:R:3 pbc="T T T"
Mg 0.000 0.000 0.000
Tl 2.448 -1.362 4.022
Tl 3.752 2.666 1.466
Tl 2.666 6.476 -1.466
Tl 0.000 5.114 2.744
Tl 1.362 2.448 6.953
I 7.486 0.532 0.552
I 4.308 3.204 -1.930
I 0.532 2.742 -0.552
I 0.806 1.910 3.557
I 1.910 -0.806 7.417
I 4.582 2.372 4.936
I 3.204 5.920 1.930
I -2.372 4.582 6.039
```

Calculated values
raw formation energy	-0.6107	eV per atom
energy	-34.377	eV per cell
total magnetization	0.00	μB/atom
symmetry	I-4

---

# 4
## Sm7Er2Cd2 (PBE-GGA)

Data for Sm7Er2Cd2 after structural relaxation.

Cell and atoms, written as extended XYZ:
```
11
Lattice="4.385 -4.865 0.000 4.385 4.865 0.000 -2.922 0.000 8.068" Properties=species:S:1:pos:R:3 pbc="T T T"
Sm 0.000 0.000 0.000
Sm 0.240 1.718 6.664
Sm -0.040 0.000 3.360
Sm 0.240 -1.718 6.664
Sm 5.607 1.718 1.404
Sm 5.888 0.000 4.708
Sm 5.607 -1.718 1.404
Er 2.924 1.728 4.034
Er 2.924 -1.728 4.034
Cd 2.813 0.000 1.434
Cd 3.034 0.000 6.634
```

Calculated values
energy	-44.498	eV per cell
total magnetization	0.00	μB/atom
energy relative to the elements	-0.046	eV per atom
symmetry	C2/m

---

# 5
## BaLi12Bi6 (PBE-GGA)

Data for BaLi12Bi6 after structural relaxation.

Cell and atoms, written as extended XYZ:
```
19
Lattice="6.101 3.522 3.911 -6.101 3.522 3.911 0.000 -7.045 3.911" Properties=species:S:1:pos:R:3 pbc="T T T"
Ba 0.000 0.000 0.000
Li -2.315 -4.010 5.867
Li -4.630 0.000 5.867
Li -1.787 -1.032 4.659
Li 1.787 -1.032 4.659
+++
[The page goes on]














采访/李韵 编辑/尚燕 后制/黎安安

Interpretation of Chongqing’s Luxury Watch Scandals

China’s internet made a wave in anti-corruption not
long ago. It disclosed a scandal involving luxury watches.
The scandals involved Sun Zhengcai, Chongqing’s
new Party chief, and He Ting, the new police chief.
Both were accused of wearing different
luxury watches on different public occasions.
Hong Kong’s media analyzed that both Sun
and He were targeted for having openly negated Bo Xilai’s “Chongqing Model”.
Thus, both Sun and He infuriated the grassroots
leftist forces of the Chinese Communist Party (CCP).

After He Ting, Chongqing’s new Party chief Sun Zhengcai
was disclosed days ago for owning luxury watches.
Sun Zhengcai has been found with at least 10 luxury
watches, according to Chinese netizens’ online search.
Sun’s daughter was found to have attended
an expensive private U.S. university.
Netizens questioned how Sun can afford the tuition fee
with his annual income of the Minister of Agriculture.

Among the newly appointed CCP officials, why
were these two CCP officials targeted first?

Hong Kong’s Oriental Daily commented
on this issue on January 2, 2013.
It analyzed that before finding his feet in Chongqing,
Sun Zhencai openly denied Bo Xilai’s “Chongqing Model”.
Sun also allowed the liberal media to unearth
scandals of Bo Xilai and Wang Lijun.
He Ting spoke in public that public security work
was “abnormal” under the leadership of Wang Lijun.
The Hong Kong article reviewed that all these
have infuriated the CCP grassroots leftists.
Now the leftists have lost power in media, but through the
internet, they exposed Sun Zhengcai and He Ting scandals.

Materials data, kept here for reference:
-- begin --
Record 1
# Th5Tl4Hg, relaxed, DFT GGA-PBE
data_Th5Tl4Hg
_cell_length_a 3.532
_cell_length_b 3.532
_cell_length_c 23.108
_cell_angle_alpha 90.00
_cell_angle_beta 90.00
_cell_angle_gamma 90.00
_space_group_name_H-M_alt 'P 1'
_space_group_IT_number 1
loop_
_space_group_symop_operation_xyz
'x,y,z'
loop_
_atom_site_label
_atom_site_fract_x
_atom_site_fract_y
_atom_site_fract_z
_atom_site_occupancy
Th1 0.500 0.500 0.097 1
Th2 0.500 0.500 0.298 1
Th3 0.500 0.500 0.500 1
Th4 0.500 0.500 0.702 1
Th5 0.500 0.500 0.903 1
Tl1 0.000 0.000 0.198 1
Tl2 0.000 0.000 0.399 1
Tl3 0.000 0.000 0.601 1
Tl4 0.000 0.000 0.802 1
Hg1 0.000 0.000 0.000 1
# calculated total energy	-4.8471	eV/atom
# energy of formation from the pure elements	-15	kJ/mol of atoms
# total magnetic moment	0.02	μB per formula unit
# DOS(E_F)	13.25	states/eV/cell

***

Record 2
# Th5TlHg, relaxed, DFT GGA-PBE
data_Th5TlHg
_cell_length_a 8.185
_cell_length_b 8.185
_cell_length_c 12.042
_cell_angle_alpha 49.86
_cell_angle_beta 49.86
_cell_angle_gamma 71.87
_space_group_name_H-M_alt 'P 1'
_space_group_IT_number 1
loop_
_space_group_symop_operation_xyz
'x,y,z'
loop_
_atom_site_label
_atom_site_fract_x
_atom_site_fract_y
_atom_site_fract_z
_atom_site_occupancy
Th1 0.682 0.680 0.121 1
Th2 0.438 0.785 0.415 1
Th3 0.680 0.682 0.621 1
Th4 0.827 0.173 0.250 1
Th5 0.215 0.562 0.085 1
Th6 0.785 0.438 0.915 1
Th7 0.173 0.827 0.750 1
Th8 0.320 0.318 0.379 1
Th9 0.562 0.215 0.585 1
Th10 0.318 0.320 0.879 1
Tl1 0.190 0.810 0.250 1
Tl2 0.810 0.190 0.750 1
Hg1 0.000 0.000 0.000 1
Hg2 0.000 0.000 0.500 1
# calculated total energy	-5.4381	eV/atom
# energy of formation from the pure elements	23	kJ/mol of atoms
# total magnetic moment	0.00	μB per formula unit
# DOS(E_F)	20.39	states/eV/cell

***

Record 3
# Th2TlHg, relaxed, DFT GGA-PBE
data_Th2TlHg
_cell_length_a 4.791
_cell_length_b 4.791
_cell_length_c 7.150
_cell_angle_alpha 70.43
_cell_angle_beta 70.43
_cell_angle_gamma 60.00
_space_group_name_H-M_alt 'P 1'
_space_group_IT_number 1
loop_
_space_group_symop_operation_xyz
'x,y,z'
loop_
_atom_site_label
_atom_site_fract_x
_atom_site_fract_y
_atom_site_fract_z
_atom_site_occupancy
Th1 0.078 0.078 0.766 1
Th2 0.258 0.258 0.226 1
Tl1 0.499 0.499 0.503 1
Hg1 0.665 0.665 0.005 1
# calculated total energy	-4.2569	eV/atom
# energy of formation from the pure elements	12	kJ/mol of atoms
# total magnetic moment	0.00	μB per formula unit
# DOS(E_F)	4.76	states/eV/cell

***

Record 4
# ThTlHg4, relaxed, DFT GGA-PBE
data_ThTlHg4
_cell_length_a 3.390
_cell_length_b 5.125
_cell_length_c 9.047
_cell_angle_alpha 90.00
_cell_angle_beta 89.80
_cell_angle_gamma 90.00
_space_group_name_H-M_alt 'P 1'
_space_group_IT_number 1
loop_
_space_group_symop_operation_xyz
'x,y,z'
loop_
_atom_site_label
_atom_site_fract_x
_atom_site_fract_y
_atom_site_fract_z
_atom_site_occupancy
Th1 0.500 0.000 0.000 1
Tl1 0.500 0.500 0.500 1
Hg1 0.001 0.000 0.665 1
Hg2 0.002 0.500 0.834 1
Hg3 0.999 0.000 0.335 1
Hg4 0.998 0.500 0.166 1
-- stop --

Liu Yinquan, chair of US-based Chinese Social Democratic
Party, views it as retaliation from the Bo Xilai faction.

Liu Yinquan: “Since Sun Zhengcai took office in Chongqing,
he has removed several local officials including Lei Zhengfu.
I think the remnants of Bo’s faction and other forces would
do everything possible to slander and combating Sun.
It was just the same as what they
did against Ling Jihua not long ago.”

Political observer Hua Po says that the fight
against both Sun and He does not eliminate the
likelihood of netizens’ campaigns against corruption.

It might be exploited by the political
opponents of both Sun and He.

Hua Po: “One attributing factor for the recent exposure
of the scandals of Sun Zhengcai and He Ting was netizens’
enthusiasm for anti-corruption, and actively providing clues.

The second reason may be infighting among CCP factions.

After He Ting came to reign in Chongqing, he
redressed some unjust cases of victims of police
that were originally mishandled by Wang Lijun.
He also removed Bo Xilai’s cronies from key positions.”

Three days after taking office in Chongqing, Sun Zhengcai
took down Lei Zhenfu for his exposed sex scandals.
Today, Sun himself is also accused of corruption on the
internet. How will the CCP regime deal with this case?

Unrelated to this piece: materials data.
/*
This record from Alexandria via LeMat-Bulk describes a geometry-optimized K2VTe3O12 structure. The functional is PBE with a Hubbard U.

Lattice parameters (Å, degrees): 7.2615 7.2615 17.3360 90.00 90.00 120.00
With the nearest neighbours (Å) after each atom.
Space group R-3m (No. 166, hexagonal axes)
Unique sites:
1 K 0.0000 0.0000 0.1327 (multiplicity 6)  6 O 3.03-3.11
2 V 0.0000 0.0000 0.5000 (multiplicity 3)  6 O 1.94
3 Te 0.0000 0.5000 0.0000 (multiplicity 9)  6 O 1.91-1.98
4 O 0.0680 0.5340 0.3608 (multiplicity 18)  2 Te 1.98
5 O 0.0723 0.5362 0.1067 (multiplicity 18)  1 Te 1.91, 1 V 1.94

Computed properties:
size of the total moment = 0.056 μB per atom
*/
The materials data stop here.

Hua Po: “The CCP will certainly shield him.

Officials whom neitizens have informed on
will only be as high as department-level ranks.
Scandals of higher-level officials won’t
be allowed to appear on the internet.
For example, Lanzhou’s Party chief was also exposed
in a luxury watch scandal, but was soon glossed over.
There are other cases, like of Liu Tienan and of Yi Junqing.

So, I think the cases of He Ting and
Sun Zhencai will be handled likewise.”

Liu Yinquan: “The CCP officialdom has been corrupt
to the core, and these officials are all involved, I believe.
But they won’t be likely to be removed from office,
for that will dampen down their enthusiasm.
The exposure may be used to enable them to withdraw
from this plight in protection of their personal interest.
But it’s not likely to truly sack them, I think.”

Sun Zhengcai was widely deemed Wen Jiabao’s successor.

Since Bo Xilai’s scandal was exposed to the public,
the conflict between Wen Jiabao and Zhou Yongkang,
patron of Bo Xilai, has become intensified.

Wen has insisted on conducting a
thorough investigation of Bo Xilai.
Later, Wen himself was reportedly accused of been
involved in “huge corruption", with his family members’ wealth worth around US$ 2.7 Billion.

Hua Po: “It’s hard to say any CCP official is incorruptible.

That’s why Xi Jinping said, “The metal
itself must be hard to be turned into iron.’
That is, very few CCP officials can
conduct themselves honorably.”

Oriental Daily reported that this exposure has proved that
for the officialdom, “crows under the sun are all black”.
It commented that the CCP purging
Bo Xilai and Wang Lijun at best only ousted two out of a group of villains.
